Work order =
Please retype only the lines below with the word "optimized" in them.
Given =
┌──
ErLuFe2Cl2: relaxed, PBE.

Summary:
energy	-6.020	eV per atom
magnetization	1.30	μB/f.u.

a b c (Å): 3.7528 3.7528 10.9161
angles (deg): 90.00 90.00 120.00
Space group P3m1 (No. 156)
One atom of each set of equivalent atoms:
Er 0.0000 0.0000 0.0000 [1 per cell]
Lu 0.0000 0.0000 0.6389 [1 per cell]
Fe 0.3333 0.6667 0.8276 [1 per cell]
Fe 0.6667 0.3333 0.8070 [1 per cell]
Cl 0.3333 0.6667 0.4835 [1 per cell]
Cl 0.6667 0.3333 0.1591 [1 per cell]

~~~~~

Entry 1:
Below is NiRu2Au after structural relaxation, with properties calculated at the PBE level.

Results
calculated volume	15.6	Å³/atom
relative energy among the computed polymorphs	55.6	kJ/mol of atoms
energy relative to the elements	3.0	eV/f.u.

Cell: 7.087 7.087 5.591 Å, 50.67 50.67 90.00°
Sites, in units of the cell vectors:
Ru: 0.576 0.125 0.250
Ru: 0.174 0.625 0.250
Ru: 0.375 0.424 0.750
Ru: 0.875 0.826 0.750
Au: 0.000 0.000 0.000
Au: 0.750 0.250 0.500
Ni: 0.500 0.500 0.000
Ni: 0.250 0.750 0.500

***

Entry 2:
Below is Ni2RuAu after structural relaxation, with properties calculated at the PBE level.

Results
calculated volume	13.6	Å³/atom
relative energy among the computed polymorphs	11.7	kJ/mol of atoms
energy relative to the elements	1.0	eV/f.u.

Cell: 4.558 4.558 2.706 Å, 90.00 90.00 105.14°
Sites, in units of the cell vectors:
Au: 0.000 0.500 0.500
Ni: 0.000 0.000 0.000
Ni: 0.500 0.500 0.000
Ru: 0.500 0.000 0.500

***

Entry 3:
Below is NiRu2Au after structural relaxation, with properties calculated at the PBE level.

Results
calculated volume	14.4	Å³/atom
relative energy among the computed polymorphs	4.1	kJ/mol of atoms
energy relative to the elements	0.9	eV/f.u.

Cell: 8.972 8.972 8.972 Å, 17.61 17.61 17.61°
Sites, in units of the cell vectors:
Au: 0.497 0.497 0.497
Ni: 0.746 0.746 0.746
Ru: 0.001 0.001 0.001
Ru: 0.257 0.257 0.257

***

Entry 4:
Below is NiRu3Au after structural relaxation, with properties calculated at the PBE level.

Results
calculated volume	22.8	Å³/atom
relative energy among the computed polymorphs	101.2	kJ/mol of atoms
energy relative to the elements	12.4	eV/f.u.

Cell: 4.849 4.849 4.849 Å, 90.00 90.00 90.00°
Sites, in units of the cell vectors:
Ru: 0.000 0.500 0.000
Ru: 0.000 0.000 0.500
Ru: 0.500 0.000 0.000
Au: 0.000 0.000 0.000
Ni: 0.500 0.500 0.500

~~~~~

Entry 1:
## Nd2Y4Ho2Th (GGA-PBE)

Data for an optimized crystal structure of Nd2Y4Ho2Th.

- Fermi-level density of states (states/eV/cell) = 12.918
- M_tot (μB/atom) = 0.000
- DFT formation energy (eV per formula unit) = 0.01

```
Nd2Y4Ho2Th
1.0
9.4068 -1.8090 0.0000
9.4068 1.8090 0.0000
-4.1749 0.0000 8.6355
Nd Y Ho Th
2 4 2 1
Direct
0.1639 0.1639 0.0004 Nd
0.8361 0.8361 0.9996 Nd
0.0183 0.0183 0.3306 Y
0.3152 0.3152 0.6662 Y
0.6848 0.6848 0.3338 Y
0.9817 0.9817 0.6694 Y
0.3524 0.3524 0.3371 Ho
0.6476 0.6476 0.6629 Ho
0.5000 0.5000 0.0000 Th
```

Entry 2:
## Nd2Y5HoTh (GGA-PBE)

Data for an optimized crystal structure of Nd2Y5HoTh.

- Fermi-level density of states (states/eV/cell) = 21.941
- M_tot (μB/atom) = 0.000
- DFT formation energy (eV per formula unit) = 2.58

```
Nd2Y5HoTh
1.0
-4.3749 4.3749 7.7508
4.3749 -4.3749 7.7508
4.3749 4.3749 -7.7508
Nd Y Ho Th
4 10 2 2
Direct
0.1161 0.6161 0.7322 Nd
0.3839 0.1161 0.5000 Nd
0.6161 0.8839 0.5000 Nd
0.8839 0.3839 0.2678 Nd
0.0000 0.0000 0.0000 Y
0.0732 0.1480 0.5000 Y
0.1480 0.6480 0.0747 Y
0.3520 0.4268 0.5000 Y
0.4268 0.9268 0.0747 Y
0.5000 0.5000 0.0000 Y
0.5732 0.0732 0.9253 Y
0.6480 0.5732 0.5000 Y
0.8520 0.3520 0.9253 Y
0.9268 0.8520 0.5000 Y
0.2500 0.7500 0.5000 Ho
0.7500 0.2500 0.5000 Ho
0.2500 0.2500 0.0000 Th
0.7500 0.7500 0.0000 Th
```

Entry 3:
## Nd2YHo2Th2 (GGA-PBE)

Data for an optimized crystal structure of Nd2YHo2Th2.

- Fermi-level density of states (states/eV/cell) = 11.203
- M_tot (μB/atom) = 0.000
- DFT formation energy (eV per formula unit) = 1.33

```
Nd2YHo2Th2
1.0
5.8307 -1.7212 0.0000
5.8307 1.7212 0.0000
-2.6415 0.0000 11.6702
Nd Y Ho Th
2 1 2 2
Direct
0.2051 0.2051 0.3613 Nd
0.7949 0.7949 0.6387 Nd
└──
Completed =
Data for an optimized crystal structure of Nd2Y4Ho2Th.
Data for an optimized crystal structure of Nd2Y5HoTh.
Data for an optimized crystal structure of Nd2YHo2Th2.